The reader should filter the block underneath: keep the lines with the word "Values".
'''
--- A ---
# Li2La2Cu

Li2La2Cu after structural relaxation (PBE, Alexandria).

Values from the calculation:
- Symmetry: No. 127
- Calculated volume: 30.33 A^3/atom

Cell lengths 7.468, 7.468, 5.439 Å; angles 90.00, 90.00, 90.00 degrees
Element x y z (fractional)
1 Li 0.152 0.348 0.000
2 Li 0.348 0.848 0.000
3 Li 0.652 0.152 0.000
4 Li 0.848 0.652 0.000
5 La 0.150 0.650 0.500
6 La 0.350 0.150 0.500
7 La 0.650 0.850 0.500
8 La 0.850 0.350 0.500
9 Cu 0.000 0.000 0.500
10 Cu 0.500 0.500 0.500

=====

--- B ---
# Li2La2Cu

Li2La2Cu after structural relaxation (PBE, Alexandria).

Values from the calculation:
- Symmetry: No. 127
- Calculated volume: 23.91 A^3/atom

Cell lengths 6.771, 6.771, 5.215 Å; angles 90.00, 90.00, 90.00 degrees
Element x y z (fractional)
1 Li 0.140 0.360 0.000
2 Li 0.360 0.860 0.000
3 Li 0.640 0.140 0.000
4 Li 0.860 0.640 0.000
5 La 0.178 0.678 0.500
6 La 0.322 0.178 0.500
7 La 0.678 0.822 0.500
8 La 0.822 0.322 0.500
9 Cu 0.000 0.000 0.000
10 Cu 0.500 0.500 0.000

=====

Most stable pick: B. Distance to second place: 19.7 kJ/mol of atoms.

=====

--- A ---
# LiLa8Cu3O16

LiLa8Cu3O16 after structural relaxation (PBE, Alexandria).

Values from the calculation:
- Symmetry: No. 2
- Calculated volume: 13.52 A^3/atom

Cell lengths 7.082, 7.596, 8.481 Å; angles 63.52, 69.10, 74.84 degrees
Element x y z (fractional)
1 Li 0.000 0.000 0.000
2 La 0.272 0.597 0.182
3 La 0.274 0.850 0.679
4 La 0.280 0.334 0.689
5 La 0.282 0.091 0.175
6 La 0.718 0.909 0.825
7 La 0.720 0.666 0.311
8 La 0.726 0.150 0.321
9 La 0.728 0.403 0.818
10 Cu 0.000 0.500 0.000
11 Cu 0.002 0.750 0.499
12 Cu 0.998 0.250 0.501
13 O 0.000 0.000 0.500
14 O 0.000 0.500 0.500
15 O 0.002 0.127 0.747
16 O 0.006 0.625 0.748
17 O 0.019 0.742 0.995
18 O 0.357 0.972 0.908
19 O 0.367 0.706 0.410
20 O 0.371 0.200 0.399
21 O 0.376 0.423 0.915
22 O 0.624 0.577 0.085
23 O 0.629 0.800 0.601
24 O 0.633 0.294 0.590
25 O 0.643 0.028 0.092
26 O 0.981 0.258 0.005
27 O 0.994 0.375 0.252
28 O 0.998 0.873 0.253

=====

--- B ---
# LiLa8Cu3O16

LiLa8Cu3O16 after structural relaxation (PBE, Alexandria).

Values from the calculation:
- Symmetry: No. 2
- Calculated volume: 14.59 A^3/atom

Cell lengths 6.916, 8.048, 8.958 Å; angles 102.99, 112.34, 106.91 degrees
Element x y z (fractional)
1 Li 0.000 0.000 0.000
2 La 0.025 0.838 0.324
3 La 0.026 0.337 0.324
4 La 0.472 0.912 0.175
5 La 0.473 0.411 0.175
6 La 0.527 0.589 0.825
7 La 0.528 0.088 0.825
8 La 0.974 0.663 0.676
9 La 0.975 0.162 0.676
10 Cu 0.000 0.500 0.000
11 Cu 0.499 0.750 0.499
12 Cu 0.501 0.250 0.501
13 O 0.000 0.265 0.000
14 O 0.000 0.735 0.000
15 O 0.126 0.438 0.625
16 O 0.126 0.938 0.625
17 O 0.254 0.627 0.255
18 O 0.264 0.132 0.264
19 O 0.376 0.312 0.875
20 O 0.376 0.814 0.876
21 O 0.500 0.000 0.500
22 O 0.500 0.500 0.500
23 O 0.624 0.186 0.124
24 O 0.624 0.688 0.125
25 O 0.736 0.868 0.736
26 O 0.746 0.373 0.745
27 O 0.874 0.062 0.375
28 O 0.874 0.562 0.375

=====

--- C ---
# LiLa8Cu3O16

LiLa8Cu3O16 after structural relaxation (PBE, Alexandria).

Values from the calculation:
- Symmetry: No. 1
- Calculated volume: 15.28 A^3/atom

Cell lengths 6.920, 8.359, 9.029 Å; angles 103.12, 111.43, 107.78 degrees
Element x y z (fractional)
1 Li 0.000 0.000 0.000
2 La 0.013 0.871 0.320
3 La 0.024 0.350 0.320
4 La 0.461 0.945 0.169
5 La 0.483 0.427 0.167
6 La 0.505 0.106 0.809
7 La 0.512 0.616 0.827
8 La 0.963 0.682 0.657
9 La 0.966 0.190 0.667
10 Cu 0.488 0.289 0.486
11 Cu 0.517 0.773 0.517
12 Cu 0.964 0.545 0.967
13 O 0.012 0.783 0.030
14 O 0.065 0.390 0.056
15 O 0.103 0.961 0.616
16 O 0.121 0.458 0.619
17 O 0.257 0.155 0.256
18 O 0.356 0.836 0.864
19 O 0.369 0.331 0.865
20 O 0.459 0.961 0.468
21 O 0.470 0.528 0.453
22 O 0.596 0.710 0.124
23 O 0.618 0.204 0.112
24 O 0.721 0.386 0.716
25 O 0.742 0.848 0.750
26 O 0.864 0.088 0.367
27 O 0.891 0.587 0.362
28 O 0.939 0.190 0.941

=====

--- D ---
# LiLa8Cu3O16

LiLa8Cu3O16 after structural relaxation (PBE, Alexandria).

Values from the calculation:
- Symmetry: No. 2
'''
Values from the calculation:
Values from the calculation:
Values from the calculation:
Values from the calculation:
Values from the calculation:
Values from the calculation: